di_form is not doing is_valid() properly


class DeviceInterface(models.Model):
    moduletype = models.CharField(max_length = 50,choices = MODULE_ID_CHOICES)
    firstportid = models.CharField(max_length=50)
    lastportid = models.CharField(max_length=50)
    I2DKEY = models.ForeignKey(Device, on_delete=models.CASCADE) ##The key to link up the tables

    def __str__(self):
        return self.moduletype


class DeviceInterfaceForm(ModelForm):
    class Meta:
        model= DeviceInterface
        fields= ['moduletype', 'firstportid', 'lastportid']
        labels = {
            "moduletype":"Module Type",
            "firstportid": "First Port ID",
            "lastportid": "Last Port ID"

Part of views.py

                    if di_form.is_valid():
                       for instances in deviceI:          
                       return render(request, 'interface/device_added.html',{'devices':Device.objects.all()})

I have the following codes above, few weeks ago it is working. But now its not working. When i submit my form, it somehow goes is_valid()=True. So meaning my text fields for this model can be empty and the form can still be saved somehow. PS: This webpage have a total of 3 different forms. So if this form’s field are all empty, it saves the the other models instead.

Can anyone explain to me what am i doing wrongly?

We don’t have a clear picture of what you’re trying and what you expect to happen. Can you please post your full view? Also, please try to get the indentation as it exists in your files. It’s important for python and if there’s a problem there it’s hard for us to tell. For example the print() line in the else has a different indentation than the other branch.

• Next to the entry, the page also holds records of molecules:
'''
# 1
Entry from the Open Molecules 2025 dataset: a single C18H17NO5 molecule (wB97M-V/def2-TZVPD).

```
41
Properties=species:S:1:pos:R:3:forces:R:3:nbo_charge:R:1
C -3.71515 -2.46521 -2.11250 -0.1303 0.0940 -0.1631 -0.2531
O -2.90021 -3.05170 -1.12644 0.1841 -0.0766 0.2765 -0.4907
C -2.34064 -2.24902 -0.18029 0.1376 -0.0407 0.1006 0.2951
C -1.53633 -2.89527 0.76208 -0.1291 -0.0226 -0.1792 -0.2463
C -0.93394 -2.17720 1.77375 -0.0537 -0.0337 -0.0674 -0.1963
C -1.11454 -0.80689 1.85974 -0.0931 0.2659 -0.0357 -0.2068
C -1.89036 -0.15370 0.91190 0.1292 -0.4040 0.3195 -0.1140
C -1.96733 1.33333 0.99526 -0.1974 0.1041 -0.1742 0.6712
O -2.00142 1.94184 2.04374 0.1206 -0.0281 0.1649 -0.6037
N -1.98096 1.95647 -0.22450 -0.2647 0.0365 -0.2603 -0.6062
C -1.52653 3.32867 -0.32393 0.0729 -0.0130 0.0550 -0.3271
C -0.03643 3.24731 -0.63113 -0.3092 0.3251 -0.3991 0.7978
O 0.47981 3.50538 -1.68469 0.0205 0.0092 0.1080 -0.5853
O 0.61353 2.75618 0.43271 0.1241 -0.0292 0.4100 -0.5001
C 1.84192 2.10288 0.18562 -0.1122 0.0278 -0.3304 -0.1874
C 1.52894 0.71489 -0.38781 -0.0316 0.4363 0.0845 0.5510
O 0.45631 0.50787 -0.90775 0.2614 -0.0729 0.0271 -0.5478
C 2.55889 -0.32727 -0.23682 0.2029 -0.5972 -0.0986 -0.1069
C 3.90727 -0.03811 -0.02776 -0.3030 0.0206 -0.0297 -0.1893
C 4.81894 -1.06797 0.10940 0.1376 -0.0441 0.0223 -0.2202
C 4.39762 -2.38802 0.05474 0.0283 0.0568 -0.0032 -0.1800
C 3.05915 -2.68232 -0.15169 -0.0099 -0.0316 -0.0089 -0.2167
C 2.14472 -1.65890 -0.30542 -0.0168 0.1872 0.0028 -0.1648
C -2.51042 -0.87257 -0.10574 -0.1098 -0.0530 -0.1146 -0.2596
H -4.04570 -3.28630 -2.74676 -0.0031 0.0998 0.0171 0.2021
H -4.58948 -1.97453 -1.67290 0.0428 -0.0045 -0.0149 0.1775
H -3.15710 -1.74356 -2.71786 -0.0229 -0.0124 0.0319 0.1768
H -1.40898 -3.96313 0.67712 0.0030 -0.1311 -0.0029 0.2234
H -0.31749 -2.68740 2.49891 0.0501 -0.0512 0.0570 0.2174
H -0.65239 -0.22946 2.64516 0.0263 0.0703 0.0793 0.2315
H -1.72881 1.37756 -1.01470 0.0486 0.0102 0.1970 0.4093
H -1.69711 3.80166 0.64593 0.0125 0.0105 -0.1690 0.2575
H -2.05267 3.85468 -1.12192 0.1654 -0.0004 0.1077 0.2205
H 2.43581 2.66779 -0.54538 0.0214 -0.1069 0.1640 0.2306
H 2.36242 2.03731 1.14072 -0.0240 0.0004 -0.1091 0.2184
H 4.24743 0.98546 0.00401 0.0575 0.1306 0.0382 0.2124
H 5.86372 -0.84201 0.26151 0.0821 0.0192 0.0060 0.2182
H 5.11519 -3.18649 0.17078 0.0630 -0.0625 0.0125 0.2172
H 2.72990 -3.70932 -0.19574 -0.0307 -0.0958 0.0023 0.2188
H 1.09680 -1.86648 -0.46336 -0.0908 -0.0109 -0.0200 0.2382
H -3.13624 -0.35279 -0.81401 -0.0596 0.0181 -0.1039 0.2173
```
Positions in Å, forces in eV/Å.

Output
**Strongest force on any atom**: 0.012 hartree/bohr
**SMILES**: COc1cccc(C(=O)NCC(=O)OCC(=O)c2ccccc2)c1
**Energy relative to the best compared isomer or geometry (same formula, charge and spin)**: 5.08 kcal/mol
**HOMO energy**: -8.682 eV
**Electronic energy**: -1127.0931 a.u.
**E_LUMO**: -0.05 eV
**HOMO-LUMO gap**: 8.634 eV

***

# 2
'''

Regarding is_valid() resolving to True, why do you think that is? Asked another way, what are you doing that makes you expect it to resolve to False?

____________
(1)
Entry from the Open Molecules 2025 dataset: the molecule C4H10N2O (the ωB97M-V functional and the def2-TZVPD basis).

HOMO: -8.0 eV
SMILES string: C/N=C(/C)[C@H](N)O
LUMO: 0.710 eV
total energy: -343.06265 a.u.
gap between HOMO and LUMO: 0.321 Eh
ΔE to the lowest compared entry with this formula, charge and spin: 87.1 kcal/mol

Element x y z (Å)
C -0.393 1.645 1.372
N 0.297 1.439 0.134
C 0.149 0.353 -0.567
C 0.872 0.329 -1.897
C -0.313 -1.000 -0.106
N -0.011 -1.412 1.187
O -0.367 -1.994 -1.048
H -1.403 1.199 1.398
H 0.161 1.261 2.248
H -0.503 2.720 1.525
H 0.326 -0.241 -2.646
H 1.005 1.349 -2.244
H 1.856 -0.124 -1.767
H -1.301 -0.170 -0.403
H 0.629 -0.800 1.678
H -0.771 -1.687 1.794
H -0.231 -2.866 -0.655

=====

(2)
Entry from the Open Molecules 2025 dataset: a structure of composition C38H36As3NO6SY (the ωB97M-V functional and the def2-TZVPD basis).

charge: +1
HOMO: -11.2 eV
LUMO: -2.422 eV
total energy: -9119.61700 a.u.
gap between HOMO and LUMO: 0.324 Eh
ΔE to the lowest compared entry with this formula, charge and spin: 12.2 kcal/mol

Element x y z (Å)
Y -0.063 -0.153 0.033
O 2.119 -0.767 -1.487
As 2.909 0.375 -0.372
O 4.489 0.030 -0.230
O 1.798 0.108 0.922
C 2.664 2.120 -1.154
C 3.889 2.747 -1.302
C 3.975 4.014 -1.891
C 2.848 4.649 -2.352
C 1.595 4.045 -2.222
C 1.499 2.804 -1.624
S -0.121 2.186 -1.398
O -1.069 3.024 -2.040
O -0.085 0.766 -1.893
O -0.258 2.036 0.070
H 2.737 -0.998 -2.192
H 4.780 2.237 -0.961
H 4.942 4.493 -1.988
H 2.924 5.624 -2.816
H 0.703 4.538 -2.582
C -2.494 -1.488 2.598
C -2.970 -1.837 1.169
As -2.995 -0.308 -0.026
C -4.757 0.363 0.020
C -5.212 1.122 -1.049
C -6.510 1.614 -1.036
C -7.345 1.355 0.042
C -6.881 0.608 1.115
C -5.580 0.116 1.108
C -3.024 -1.208 -1.744
C -2.777 -0.501 -2.915
C -2.856 -1.148 -4.143
C -3.177 -2.498 -4.199
C -3.432 -3.206 -3.030
C -3.359 -2.561 -1.804
As -1.027 -0.186 2.654
C -0.246 -0.418 4.374
C -0.529 0.441 5.427
C 0.117 0.274 6.648
C 1.044 -0.743 6.816
C 1.323 -1.608 5.766
C 0.683 -1.440 4.548
C -1.947 1.499 2.890
C -3.323 1.616 2.861
C -3.928 2.869 2.920
C -3.145 4.008 3.004
C -1.758 3.893 3.040
C -1.159 2.646 2.978
H -2.133 -2.389 3.093
H -3.292 -1.084 3.217
H -3.952 -2.310 1.170
H -2.271 -2.538 0.714
H -4.579 1.341 -1.898
H -6.867 2.202 -1.871
H -8.358 1.738 0.047
H -7.526 0.405 1.961
H -5.241 -0.466 1.955
H -2.519 0.551 -2.886
H -2.664 -0.596 -5.054
H -3.240 -2.999 -5.157
H -3.698 -4.255 -3.074
H -3.583 -3.123 -0.909
H -1.253 1.234 5.324
H -0.109 0.946 7.466
H 1.552 -0.861 7.764
H 2.046 -2.404 5.889
H 0.923 -2.122 3.744
H -3.954 0.745 2.810
H -5.008 2.943 2.900
H -3.611 4.984 3.041
H -1.140 4.780 3.103
H -0.078 2.582 3.000
C 2.129 -6.364 -0.503
C 1.451 -5.025 -0.385
C 1.466 -4.323 0.816
C 0.835 -3.104 0.896
N 0.178 -2.554 -0.136
C 0.185 -3.210 -1.303
C 0.799 -4.435 -1.461
H 3.212 -6.246 -0.433
H 1.903 -6.849 -1.450
H 1.821 -7.027 0.305
H 1.977 -4.719 1.685
H 0.848 -2.537 1.815
H -0.341 -2.743 -2.131
H 0.767 -4.924 -2.426

~~~~~
____________

Heres the full view:

 def device_add(request):
    if request.method == "POST":
        device_frm = DeviceForm(request.POST) 
        dd_form = DeviceDetailForm(request.POST)
        di_formset = inlineformset_factory(Device, DeviceInterface, fields=('moduletype', 'firstportid', 'lastportid'),widgets={  'firstportid':TextInput(attrs={'placeholder': 'e.g. TenGigabitEthernet1/0/1'}), 'lastportid':TextInput(attrs={'placeholder':'eg. TenGigabitEthernet1/0/48'})},extra=1,max_num=3, can_delete=False)
        if device_frm.is_valid():
        # Create and save the device
        # new_device here is the newly created Device object
            new_device = device_frm.save()
            if dd_form.is_valid():
                # Create an unsaved instance of device detail
                deviceD = dd_form.save(commit=False)
                # Set the device we just created above as this device detail's device
                deviceD.DD2DKEY = new_device              
                if di_form.is_valid():
                    for instances in deviceI:          
                    return render(request, 'interface/device_added.html',{'devices':Device.objects.all()})
                return render(request,'interface/device_add.html',{'form':device_frm, 'dd_form': dd_form, 'di_form':di_form})
            return render(request,'interface/device_add.html',{'form':device_frm, 'dd_form': dd_form, 'di_form':di_form})
        return render(request,'interface/device_add.html',{'form':device_frm, 'dd_form': dd_form, 'di_form':di_form})
        device_frm = DeviceForm()
        dd_form = DeviceDetailForm()
        di_formset = inlineformset_factory(Device, DeviceInterface, fields=('moduletype', 'firstportid', 'lastportid'), widgets={  'firstportid':TextInput(attrs={'placeholder': 'e.g. TenGigabitEthernet1/0/1'}), 'lastportid':TextInput(attrs={'placeholder':'eg. TenGigabitEthernet1/0/48'})},extra=1, max_num=3, can_delete=False)
        di_form=di_formset(queryset = DeviceInterface.objects.none())
        return render(request,'interface/device_add.html',{'form':device_frm, 'dd_form': dd_form, 'di_form':di_form})

Answering your question, I have no idea. I have not been editing my views so far as I am currently trying to resolve my issue in the html to control my formset properly which I am not able to do it yet. So i dont know how it is resolving to true everytime.

If the issue is that is_valid() is returning True unexpectedly, I’d check to see what the POST is submitting via a browser’s developer tools’ network panel, then comparing that to what the forms expect and the validations implied in them.

I checked it in powershell instead and apparently its taking [ ] for deviceI